November 8, 2020 access_time1 min read.

JavaScript is the default language of the web. When you build a website or web application, you have many frameworks or libraries to choose from. At the time of this post, AngularJS (maintained by Google), Vue.js (created by Evan You), and React.js (maintained by Facebook) are the main players of the JavaScript world but are not the only ones. Backbone.js, Aurelia, and jQuery continue to be popular and used by lots of developers. Each one of them has a large community of users contributing and supporting them.

/*
No. 1
117
Properties=species:S:1:pos:R:3 method="wB97M-V/def2-TZVPD" e_lumo_ev="-8.9061 / -8.9056" homo_ev="-12.033 / -12.034" charge=+2 e_above_lowest_kcal_mol=33.7 fmax_ev_per_a=1.43
H 1.920 3.107 0.194
H 5.041 1.043 0.610
C 1.655 2.445 -2.220
Au 1.186 -1.239 -0.892
H 3.919 1.571 -4.445
H -1.620 2.667 5.051
H 1.646 1.371 0.382
H 2.161 -0.567 -5.474
H 3.772 -0.032 1.164
C -0.721 -3.388 0.867
H -5.031 2.778 1.692
H -3.631 -4.932 3.104
H 3.838 -2.052 -4.963
H -4.594 -0.262 -1.094
C -3.068 -3.914 0.583
H -4.551 -0.317 0.653
C 2.382 2.125 0.087
C -1.888 -3.991 1.328
H 4.865 -1.951 -3.551
C 4.741 0.004 0.678
C -2.147 1.757 4.778
H 3.621 -2.458 -0.149
H -2.367 4.575 3.516
N -2.551 -1.449 -4.444
H 3.280 -2.875 4.157
C 3.846 -1.819 -3.898
C -5.740 -5.138 2.947
C 2.017 -0.277 -4.434
C -2.959 -3.278 -0.657
Sb -1.310 2.049 1.140
H 4.565 0.218 -5.364
H -1.700 -1.606 4.027
H -2.968 -3.193 -3.466
H -5.547 -3.937 -0.629
H 1.893 2.411 -3.277
H 0.902 5.682 3.174
C 4.341 0.573 -4.356
H 4.302 2.778 -2.700
H -3.079 -0.583 -0.266
H -3.130 3.578 -1.962
C -1.841 -0.984 3.149
C 3.350 -0.388 -3.693
H 0.871 3.952 3.442
H 1.066 1.675 4.163
H -1.308 -1.443 2.322
H 1.446 3.486 -1.970
H 4.778 -2.692 -1.452
H 3.204 -2.538 -3.394
H 1.631 0.737 -4.438
H -3.185 4.977 2.013
C 0.647 -4.177 2.831
H 6.155 0.736 -1.554
H -5.939 2.714 0.199
C 0.850 4.719 2.675
C -2.280 5.139 2.591
N 1.620 -3.985 3.693
H -1.885 -4.464 2.294
H 5.355 -2.504 0.196
H 3.185 -1.590 1.981
H -0.010 -5.006 3.047
C -4.359 -4.364 1.134
C -3.997 -0.004 -0.225
C -1.701 -1.905 -2.275
C -4.482 -4.827 2.450
H 3.838 3.824 -1.371
H -2.219 2.112 -2.271
C -0.557 5.458 -0.084
C -1.889 -0.307 -4.401
H -2.897 -0.990 2.904
H 1.271 0.347 3.035
H -3.921 2.191 -2.671
H 3.220 2.084 0.773
C 2.504 -3.042 3.426
C -1.042 -0.010 -3.337
C -4.962 2.934 0.620
H 5.469 -0.501 1.312
C 2.812 1.924 -1.370
H 0.456 5.374 -0.466
Si -3.622 1.863 -0.198
H -5.862 -5.483 3.964
C -5.542 -4.272 0.394
H -3.140 2.033 4.437
Si -1.177 0.770 3.471
H -0.784 6.518 -0.013
C -2.455 -2.246 -3.403
H -4.771 3.989 0.445
H -2.022 0.359 -5.238
H -2.271 1.175 5.687
H 0.755 1.865 -2.019
N -6.847 -5.018 2.242
N -0.664 -2.729 -0.287
H 1.748 4.618 2.075
C 0.684 0.699 3.879
H 6.860 -0.636 -0.717
C -1.753 -2.698 -1.043
H 4.904 2.460 -1.081
C 6.046 -0.330 -1.376
C -3.179 2.494 -1.938
C 4.603 -2.165 -0.518
H -0.449 0.890 -3.325
C 2.422 -2.297 2.253
N -0.950 -0.801 -2.278
C 4.041 2.790 -1.648
H 1.268 -0.936 -4.003
H -2.244 6.192 2.856
H -1.230 5.025 -0.820
C -6.749 -4.604 0.995
H -3.812 -3.172 -1.306
H 0.870 0.027 4.712
H 6.168 -0.857 -2.317
H 5.278 0.637 -3.812
N 1.393 -2.417 1.434
C 0.474 -3.342 1.715
C 4.707 -0.648 -0.705
Si -0.728 4.625 1.619
Si 3.168 0.009 -1.758
H -7.679 -4.519 0.452

---

No. 2
147
Properties=species:S:1:pos:R:3 method="wB97M-V/def2-TZVPD" e_lumo_ev=0.2601 smiles="CCCCC[C@@H](N(Br)CCCS)[C@@](I)(C[C@H](C)Br)O[C@@H](C)F.CNC(C)=O.CNC(C)=O.CNC(C)=O.CNC(C)=O.CNC(C)=O.CNC(C)=O.CNC(C)=O.CNC(C)=O" homo_ev=-8.260 charge=0 fmax_ev_per_a=0.66
*/
Back to the piece >

Database choices are also abundant. In the relational sphere we have MySQL (purchased by Oracle), MS SQL Server, PostgreSQL, and in the document-oriented alternative we have MongoDB. All of them are great choices to manage your data securely.

Django and Flask (based on Python) and Ruby On Rails (based on the Ruby programming language), and PHP are also instrumentals in powering web applications.

With so many of them, which one would you consider? You could do research online, talk to friends, listen to podcasts, or try them all.


From either doing a Google search or writing a Python script to scrape the web in order to find articles and opinions about the different tools, you have a big task ahead of you. The advantage of using this approach is that you benefit from the work done by those who are already using the framework you are researching. There are lots of comparisons among all these tools showing advantages, disadvantages, and reasons why they decided on a particular one.

You have saved time by following a recommendation at the expense of not knowing if it is the right tool for you.

Try Them All

That is what we did. It's time consuming compared to just following someone's opinion stating that a certain library/framework was the way to go. But when you think about it, it is worth to spend the time determining if that tool is the appropriate one because you might be using it for years to come. Acquiring knowledge and developing skills is a big investment.

We tried Angular and after version 2 was released, we looked at Vue and React. Using an earlier application written with jQuery as a baseline, we rewrote the application in both Vue and React. This parallel run allowed us to have a real side by side comparison to help us choose React as our preferred one.

Using the same approach, we decided that Postgres is our default relational database. MSSQL requires a commercial license and just managing the license compliance adds another layer to the application. In addition, we like how friendly Postgres is.

We liked Ruby on Rails but we were already familiar with Python and wanted to take advantage of all its libraries and the large amount of code available on public repositories.


For the most part, we try things for ourselves to determine what works for us and to make sure we don't have any regrets. In one word, we are responsible for the decisions we make.

Credits: Photo by Lee Campbell on Unsplash.